Denver’s Office of the Independent Monitor moved, no one’s saying where

Denver’s Office of the Independent Monitor moved from its offices on the 12th floor of the Wellington Webb Building. Staff for the City Attorney, who’ve moved in, are saying they don’t know where the OIM has gone. Convenient. FYI, it’s moved to the Denver Post Building, but the information desk there won’t tell you were it is either. So the bad news is that you have to know it’s there, you have to have an appointment, and you have to know who you’re seeing there before security will send someone to escort you up. Denver’s OIM recently made the news about city council renewing their commitment to its existance, but it’s becoming nearly invisible to the public it’s supposed to serve.

Denver art student informs Tale of Two Hoodies with Goya’s Third of May 1808. This KKK cop executes the black child.

A Tale of Two Hoodies
DENVER, COLORADO- Here’s what the Denver Post article didn’t explain about the Denver high school art student who was pressured to remove her controversial piece from public display. Where was it being shown? At the Wellington Webb Building. That’s not irrelevant because it’s where viewers became offended. You could go inquire about the incident, if you knew where to ask, or where to protest the work’s removal. The WELLINGTON WEBB BUILDING downtown on Colfax. What’s so controversial, the scene is real isn’t it? There’s more.

The student’s drawing is essentially a reproduction of Michael D’Antuono’s 2014 piece “A Tale of Two Hoodies” which still sparks outrage. Missing in this version is the bag of Skittles which the black child offers the cop, locking the two figures in a standoff. Or obviously a mugging. The Skittles of course recalls Trayvon Martin and we know how that ended. The hands in the air references “Hands Up Don’t Shoot” and Michael Brown who shared the same fate.

Original 2014 workAll else about the Denver student’s contextualization of D’Antuono’s work is the same, the confederate flag uncovered from beneath the wallpaper of Old Glory. In the student’s piece the American flag appears worn through. In D’Ontuono’s original the racist flag has bursted through. The cop and hood are the same, except in the original the cop was maybe more fat.

What’s also missing in the DenPo whitewash is the context of the unamed student’s assignment. She was tasked with contextualizing TWO works. The influence of the second piece is not as apparent as the first. The boy’s hands-up wasn’t merely recalling the mantra of the Black Lives Matter movement, it was evoking the student’s other chosen influence, Goya’s famous “The Third of May 1808.” In that iconic work, a firing squad is executing a rebel with outstretched arms.

_What comes next are materials data, not part of the article_
____________
# 1
This record from the Alexandria database describes an optimized crystal structure of TbNd3Tm5. The functional is PBE.

Computed properties:
* energy relative to the elements: 0.531 eV per atom
* SG: C2/m, No. 12

abc: 9.4909 9.4909 10.0449
angles: 121.86 121.86 72.01
Fractional positions:
Tb 0.2476 0.2476 0.0987
Tb 0.7524 0.7524 0.9013
Nd 0.0000 0.0000 0.0000
Nd 0.0286 0.0286 0.6884
Nd 0.4899 0.4899 0.7852
Nd 0.5000 0.5000 0.5000
Nd 0.5101 0.5101 0.2148
Nd 0.9714 0.9714 0.3116
Tm 0.0882 0.5910 0.4342
Tm 0.2207 0.2207 0.4102
Tm 0.2603 0.7397 0.0000
Tm 0.2879 0.2879 0.7985
Tm 0.4090 0.9118 0.5658
Tm 0.5910 0.0882 0.4342
Tm 0.7121 0.7121 0.2015
Tm 0.7397 0.2603 0.0000
Tm 0.7793 0.7793 0.5898
Tm 0.9118 0.4090 0.5658


# 2
This record from the Alexandria database describes an optimized crystal structure of Th2NpInN5. The functional is PBE.

Computed properties:
* uncorrected formation energy: -0.990 eV/atom
* SG: Cmc2_1, No. 36

abc: 7.2499 7.2499 10.8835
angles: 90.00 90.00 151.66
Fractional positions:
Th 0.1146 0.8854 0.5000
Th 0.1390 0.8610 0.0841
Th 0.8610 0.1390 0.5841
Th 0.8854 0.1146 0.0000
Np 0.2133 0.7867 0.8073
Np 0.7867 0.2133 0.3073
In 0.4805 0.5195 0.2726
In 0.5195 0.4805 0.7726
N 0.0622 0.9378 0.8675
N 0.2805 0.7195 0.4521
N 0.3031 0.6969 0.1646
N 0.3638 0.6362 0.8291
N 0.4889 0.5111 0.5782
N 0.5111 0.4889 0.0782
N 0.6362 0.3638 0.3291
N 0.6969 0.3031 0.6646
N 0.7195 0.2805 0.9521
N 0.9378 0.0622 0.3675


# 3
This record from the Alexandria database describes an optimized crystal structure of GdTm2Cu. The functional is PBE.

Computed properties:
* energy above the lowest structure with this stoichiometry: 0.56 eV per formula unit
* energy relative to the elements: 0.027 eV per atom
* SG: R-3m, No. 166

abc: 10.0213 10.0213 10.0213
angles: 20.48 20.48 20.48
Fractional positions:
Gd 0.0000 0.0000 0.0000
Tm 0.2335 0.2335 0.2335
Tm 0.7665 0.7665 0.7665
Cu 0.5000 0.5000 0.5000

=====

[1]
TbCeCuGe PBE relaxed; DOS at the Fermi energy = 2.34 states/eV per atom; ΔE_f = -1.6 eV per formula unit
1.0
0.000 3.567 3.567
3.567 0.000 3.567
3.567 3.567 0.000
Tb Ce Cu Ge
1 1 1 1
Direct
0.000 0.000 0.000 Tb
0.500 0.500 0.500 Ce
0.250 0.250 0.250 Cu
0.750 0.750 0.750 Ge

=====

[2]
Ag2Hg2Pt PBE relaxed; DOS at the Fermi energy = 0.36 states/eV per atom; polymorph energy (0 for the lowest one) = 0.00 eV per formula unit; ΔE_f = 1.2 eV per formula unit
1.0
7.231 0.000 0.000
0.000 7.231 0.000
0.000 0.000 3.903
Ag Hg Pt
4 4 2
Direct
0.156 0.344 0.000 Ag
0.344 0.844 0.000 Ag
0.656 0.156 0.000 Ag
0.844 0.656 0.000 Ag
0.146 0.646 0.500 Hg
0.354 0.146 0.500 Hg
0.646 0.854 0.500 Hg
0.854 0.354 0.500 Hg
0.000 0.000 0.500 Pt
0.500 0.500 0.500 Pt

=====

[3]
SrNbS2Cl PBE relaxed; DOS at the Fermi energy = 1.48 states/eV per atom; polymorph energy (0 for the lowest one) = 7.69 eV per formula unit
1.0
5.504 0.000 0.000
0.000 5.504 0.000
0.000 0.000 5.222
Sr Nb S Cl
1 1 2 1
Direct
0.000 0.000 0.000 Sr
0.500 0.500 0.500 Nb
0.000 0.500 0.000 S
0.500 0.000 0.000 S
____________
_Back to the article_

KNOWING THIS, you can see the student’s policeman has drawn his gun for an EXECUTION, not an arrest. The boy is not following an order or raising his hands in surrender. If even in resignation, this boy’s upheld arms communicate a plea. How does that inform you about this young Denver student’s understanding of “Hands Up Don’t Shoot” or “I Can’t Breathe”?

The officer’s Klan hood certifies that this shooting is a lynching. Many lynchings in the traditional sense were perpetrated by deputized citizens.

Denver Chief of Police Robert White said of the student’s work: “I’m greatly concerned about how this painting portrays the police.” Well sure, and Chief White didn’t know the half of it.

Should you go complain at the Wellington Webb Building? The Denpo article mentions Chief White intends to “have a conversation with the student and her parents.” You may want to caution that the Office of the Independent Monitor be invited attend that conversation, as a ride-along so to speak, to assure it isn’t the one-sided transaction to which we are becoming accostomed and inured.

Does Chief White think that racially enhanced officer involved extrajudicial executions should not be a student’s concern? He needs to look past what offended him and try to understand the art piece before he forces a conversation. Or what kind of conversation will it be. The student has already made her statement.

Here’s what Michael D’Antuono had to say about his original work. I’ve updated the original broken links:

This painting, created during the Trayvon Martin case, symbolizes the travesty of racism in the criminal justice system. It has been the object of much controversy and censorship. In 2014, I was Incensed that George Zimmerman was trying to profit from his notoriety for killing an unarmed teenager by auctioning his painting on eBay. In response, I put this piece on eBay with half of the proceeds going to the Trayvon Martin Foundation. The very same day Zimmerman sold his painting for $100,000, and as soon as it became evident that my piece was on par to pass Zimmerman’s mark, eBay shut mine down for violating their strict policy of not selling anything on their site glorifying hate groups or showing anything symbolic of the Klu Klux Klan. The hypocrisy of eBay was that at the time they killed my auction, they were selling over 1500 other items related to the KKK. Misrepresenting it’s meaning, a hate group co-opted the piece in 2015, passing out flyers in Southfield, Michigan. In 2016, a high school teacher in Nevada, was suspended for using the painting to inspire critical though.

Motion hearing for 4/29 protest arrest brings out affinity of cops and judges.

DENVER, COLORADO- A local activist flipped off a municipal court judge. Yes, it’s not done, but the consequence was more severe than even the judge intended. She was attending a motions hearing of a fellow protester accused of disobeying a cop. During DPD testimony an officer was narrating a surveillance video which the audience was unabe to see. She tried to shift seats but was told to sit down. After two admonishments, she complied in silence but made a disrespectful gesture where she sat behind the flat screen monitor, where she thought the judge wouldn’t see. But a clerk did see the gesture and told the judge. Judge Nicole Rodarte, no friend of political activists and facing a roomful of them, immediately had her held in contempt of court for the remainder of the hearing. Contrary to instructions, the unnamed activist was taken across to the jail to serve a sentence of ten days. We’re not sure yet who was complicit with the mixup. Here’s what happened:

It was a hearing no Denver street activist wanted to miss. Habitual free-speech offender Jesse Benn is accused of disobeying a lawful order, being on the street, failure to disperse, etc, etc, at the April 29 march solidarity march for the people of Baltimore upset about the in-custody murder of Freddy Gray. Jesse’s jury trial will follow shortly.

At this motions hearing, the unpopular motorcycle cop Michael Rispoli was testifying as to the evidence against Jesse. Officer Rispoli is uniformly reviled for his tendency to ram his motorcycle into peaceful marchers. At the April 29 march, Rispoli dropped his motorcycle, feigning having been pushed by bicyclist Michael Moore. A SWAT crew piled on Moore, protesters rushed to his defense, this precipitated more arrests and prompted the police to pepperspray the crowd which included a number of small children. Justified by the attack on Officer Rispoli. Jesse Benn recorded the video which proved Rispoli’s lie. All charges were dropped against Moore, but the rest of the arrestees are being prosecuted, including Benn.

Rispoli by the way has been reassigned to DIA. After six years on the downtown motorcycle crew, monitoring and herding political demonstrations, he’s been demoted to the airport.

So at this hearing Bad Cop Rispoli was proudly testifying about the crowd-control techniques of the motorcycle unit. Very, very informative. At one point the prosecution played a police surveilance video so that Rispoli could give the play by play, point out offenders, and share his strategy. Except the audience couldn’t see the video screen. The content wasn’t forbidden, the judge just saw no need to make a screen available to the public. This being a public hearing.

It was frustrating, and said audience member rose to move about to catch a glimpse of the video. Judge Rodarte told her to sit down. She explained the problem, the judge only repeated her warning. She returned to her seat and apparently formed a finger with her left hand, thrown down behind the large screen monitor, where we couldn’t see, nor even the judge. The courtroom clerk spotted it however and told the judge.

Judge Rodarte promptly asked the deputees to remove the activist to an adjacent room used for in-custody defendants. She informed us that the activist was being held in contempt and her case would be handled at the close of the hearing, hopefully before the lunch break. The hearing resumed without further incident, except more lies from Rispoli. One lie prompted defendant Benn to hold a notepad aloft, for the audience’s eyes only, on which he’d scribbled “perjury!”

The hearing ended before lunch. Judge Rodarte excused herself to review the activist’s criminal record. Rodarte emerged from her chambers to announce that the matter would be addressed after lunch.

When court resumed at 1:30pm, Offender X was brought back in from the side door. Judge Rodarte gave a brief lecture about how X’s act had insulted the integrity of her courtroom and the justice system, etc. She asked if X had anything to say in anticipation of sentencing.

X gave a similarly brief speech about what she’d witnessed in Rodarte’s courtroom and the affront it represented to the public. X closed by declaring she welcomed whatever consequence the judge wanted to throw at her.

“I sentence you to two hours, time served” said Judge Rodarte. She ordered the sheriffs to release X, when they were done with her, or words to that effect.

We went to the jail to await X’s release, anticipating the usual booking delay. We eventually learned that X was supposed to serve a ten day sentence for contempt of court. It took us 35 hours before the error was sorted out. The detention center staff had admitted X with absolutely no authority to do so, certainly no documents remain on file. There is no paper trail and the Office of the Independent Monitor and Internal Affairs are trying to sort it out. Stay tuned.

The case against activist Jesse Benn raises the penultimate question about the right to march in protest. Jesse Benn is charged with being in the street. Traffic laws favor cars over people in the use of public roads, but does a vehicle’s right of way always abridge the people’s right to assemble? Hundreds of demonstrators marching to seek redress of grievances need the road too. Very often authorities tolerate protesters taking the streets for that very reason. Or because authorities have already blocked the streets. It’s complicated, and Jesse Benn might be being punished here because he took the video that implicated a bad cop. The system wants to use Jesse Benn as an example. Activist need to use Benn as their example, to teach the city a lesson about wrongful arrest and our civil liberties.

Occupy Denver’s Caryn Sodaro was rail-roaded again by Denver courts

DENVER, COLORADO- Weld County had twice declined to remit jailed Occupy Denver activist Caryn Sodaro to the Denver County courts for outstanding cases, but this week authorities conspired to bus Caryn to court without giving public notice. Instead of being greeted by a room full of supporters who had twice turned up to cheer for her as she faced contrived and punitive charges, Caryn was whisked before Judges Rodarte in 3F and Farrenger in 3H. Alone and no doubt demoralized, Caryn plead guilty to both obstruction and making threats, accepting concurrent sentences of 150 days. We haven’t yet uncovered the paper trail for her off-leash citation. but the Lindsey Flanigan Star Chamber probably threw that at her too.

Caryn’s cases had been continued to the week of December 7, but the criminal justice complex broke the rules, Caryn, and us too. Caryn Sorado had been unreachable for a week at the jail in Greeley. No one had been able to reach her. Inquiries had just been made to her case manager.

Caryn could not have know that last week Monk beat the obstruction charge.

And Caryn never made the threat of which she was accused, in fact it was the reverse. The addict who made the complaint had been evicted from our protest encampment by Caryn. The accuser hoped to get a protection order to keep Caryn away from the protest while she, the accuser, moved back in. Caryn had intended to repudiate the charge. Actually we were all certain the addict would not turn up in court.

Instead Caryn followed some court employee’s advice and doubled her jail stay-cation. Friends are planning a road trip to Greeley for a visitation and maybe cacophonous serenade, not to mention, desperate apologies for having been conned by the justice system.

Tragically a number of us were flyering outside the courthouse on Wednesday precisely when Caryn was being railroaded inside. We only learned of her appearance when checking on another schedule anomaly that afternoon, a scheduling ambush actually.

We’re coming to understand that the Denver Sheriffs play underhanded shell-games with detainees to maximize the inconvenience for inmates and loved ones alike.

The good news is that today we filed two complaints with the Office of the Independent Monitor directed at Denver Sheriff malfeasance. Both are cases of warrantless detention. Dead-nuts, incarceration without the authority to do it. More filings are in the works addressing bond-setting abuses and arbitrary release delays. Now we’ll throw Caryn’s habeas violation in for good measure. Occupy Denver may be going without Caryn’s loud angry voice, but we’re still hitting the Blue Meanies hard, and we’re as unpopular as ever.